_Input_
=====
! PBE Ca3Ga3Pt, relaxed; values from VASP
! space group: C2/m, No. 12
! Fermi-level density of states: 4.65 states/eV/f.u.
! calculated formation energy: -655 meV/atom
! E: -3.6728 eV per atom
! M_tot: 0.00 μB per cell
&SYSTEM
  ibrav = 0, nat = 14, ntyp = 3
/
ATOMIC_SPECIES
Ga 69.72 Ga.upf
Pt 195.08 Pt.upf
Ca 40.08 Ca.upf
ATOMIC_POSITIONS angstrom
Ga 4.065 0.711 1.750
Ga 2.246 4.943 13.828
Ga 5.826 4.678 4.432
Ga 0.486 0.977 11.146
Ga 5.181 4.400 8.713
Ga 1.130 1.254 6.866
Pt 2.896 5.150 9.511
Pt 3.415 0.505 6.068
Ca 1.611 1.445 3.676
Ca 2.266 1.770 13.699
Ca 4.046 3.884 1.880
Ca 3.396 3.671 6.197
=====

_Work order_
Could you echo everything above verbatim?

_Response_
! PBE Ca3Ga3Pt, relaxed; values from VASP
! space group: C2/m, No. 12
! Fermi-level density of states: 4.65 states/eV/f.u.
! calculated formation energy: -655 meV/atom
! E: -3.6728 eV per atom
! M_tot: 0.00 μB per cell
&SYSTEM
  ibrav = 0, nat = 14, ntyp = 3
/
ATOMIC_SPECIES
Ga 69.72 Ga.upf
Pt 195.08 Pt.upf
Ca 40.08 Ca.upf
ATOMIC_POSITIONS angstrom
Ga 4.065 0.711 1.750
Ga 2.246 4.943 13.828
Ga 5.826 4.678 4.432
Ga 0.486 0.977 11.146
Ga 5.181 4.400 8.713
Ga 1.130 1.254 6.866
Pt 2.896 5.150 9.511
Pt 3.415 0.505 6.068
Ca 1.611 1.445 3.676
Ca 2.266 1.770 13.699
Ca 4.046 3.884 1.880
Ca 3.396 3.671 6.197